
I don’t think it’s so much a “fear of missing out” on harassment as it is the implicit exclusion from the Club of Real Women Having Real Women’s Experiences. When the actual article starts out with “women are not a monolith, but for real, y’all, this is EVERY WOMAN’S STORY,” it’s easy to get the message, yet again,

I remember being 13 years old, working at a summer job with the maintenance crew at my moms work (the kids of the employees often got jobs over the summer doing menial tasks). The bosses daughter, who I had a major crash on, was working also and I got the guts to ask her out. When she said yes, I of course told all my

Please tell your daughters it is perfectly lady like and adorable to kick any man right in the nutsack if they make any kind of questionable advance.

One of the best most enlightening articles I’ve read about understanding issues women face. The idea that straight men fixate on adolescent girls is no big secret, but wow, is it creepy. Seems like there should be less talk about the gay agenda / gay marriage and America’s need to sexualize young girls.

How did I miss this?

I cried after finishing reading them all because they were so familiar. I told myself that my 8 year old self getting noticed that way was an exception by a complete creep. And now I know that’s not true. :/ My little girl is seven and just beautiful. What awaits her makes me both sad and apprehensive.

The sheer amount of stories that start or end with “I was 12” “I was 11” “I was 9” NINE! NINE FOR CHRISTSSAKES! I was flabberghasted sifting through all the stories shared. It makes me sick to my stomach....I can’t even articulate my rage right now.

I am also a single mother and I have this fucked up radar which zooms in on people saying coded shit about single mums.

Inserted here: crystal structures:
____________
Diffraction record for PrAl22O34. The X-ray diffraction stick pattern is calculated, not measured: it uses DFT lattice parameters and positions (GGA-PBE) and λ = 1.5418 Å (Cu Kα).
No peak broadening, texture or thermal motion is included.

Cell and atoms:
a b c (Å): 5.6508 9.7840 11.8103
angles (deg): 105.78 90.07 90.04
Element x y z (fractional)
Pr (0.0000, 0.0000, 0.0000)
Al (0.1852, 0.5372, 0.3011)
Al (0.1896, 0.8428, 0.7242)
Al (0.1917, 0.3493, 0.7384)
Al (0.1928, 0.0402, 0.3113)
Al (0.4360, 0.2398, 0.1658)
Al (0.4379, 0.0444, 0.5700)
Al (0.4382, 0.1419, 0.8754)
Al (0.4385, 0.3434, 0.4699)
Al (0.4381, 0.7894, 0.3040)
Al (0.4397, 0.5967, 0.7379)
Al (0.4397, 0.6900, 0.5166)
Al (0.6858, 0.0388, 0.3072)
Al (0.6884, 0.3503, 0.7385)
Al (0.6880, 0.8456, 0.7288)
Al (0.6891, 0.5366, 0.2997)
Al (0.9374, 0.0964, 0.7298)
Al (0.9369, 0.2912, 0.3036)
Al (0.9374, 0.5417, 0.5671)
Al (0.9380, 0.1956, 0.5212)
Al (0.9382, 0.7471, 0.1682)
Al (0.9376, 0.8424, 0.4657)
Al (0.9402, 0.6460, 0.8741)
O (0.1733, 0.1471, 0.6207)
O (0.1728, 0.2383, 0.4212)
O (0.1818, 0.0338, 0.8099)
O (0.1879, 0.3470, 0.2307)
O (0.1891, 0.5402, 0.8127)
O (0.1889, 0.8512, 0.2326)
O (0.2007, 0.6483, 0.6181)
O (0.2027, 0.7385, 0.4197)
O (0.3434, 0.1625, 0.0199)
O (0.4375, 0.0961, 0.2325)
O (0.4369, 0.5997, 0.2348)
O (0.4380, 0.7875, 0.8009)
O (0.4390, 0.3970, 0.6332)
O (0.4392, 0.5023, 0.4202)
O (0.4391, 0.8839, 0.6193)
O (0.4390, 0.9912, 0.4112)
O (0.4409, 0.2879, 0.8128)
O (0.6733, 0.7383, 0.4193)
O (0.6758, 0.6485, 0.6194)
O (0.6883, 0.3455, 0.2250)
O (0.6875, 0.8498, 0.2325)
O (0.6897, 0.5409, 0.8137)
O (0.6997, 0.0372, 0.8181)
O (0.7033, 0.1466, 0.6209)
O (0.7047, 0.2384, 0.4192)
O (0.9359, 0.4893, 0.4060)
O (0.9363, 0.8967, 0.6283)
O (0.9373, 0.3839, 0.6199)
O (0.9383, 0.0062, 0.4206)
O (0.9376, 0.5958, 0.2245)
O (0.9398, 0.2854, 0.8041)
O (0.9408, 0.7970, 0.8110)
O (0.9419, 0.0968, 0.2312)
O (0.9430, 0.7466, 0.0203)

Main lines, most intense first (10 to 90 degrees two-theta):
| two_theta | I_rel |
| --- | --- |
| 35.50 | 1000 |
| 66.16 | 877 |
| 15.63 | 797 |
| 34.22 | 703 |
| 31.68 | 699 |
| 45.69 | 661 |
| 10.44 | 654 |
| 38.28 | 606 |
| 20.92 | 576 |
| 18.31 | 469 |


Computed powder X-ray diffraction pattern
Compound: Er2Cd3Ag3
Radiation: CuKα
Structure: a GGA-PBE-relaxed structure

Structural model:
Cell: 4.9567 4.9567 24.1477 Å, 90.00 90.00 120.00°
Space group R3m (No. 160, hexagonal axes)
Unique sites:
Er  0.0000  0.0000  0.0000 [3 per cell]
Er  0.0000  0.0000  0.4943 [3 per cell]
Cd  0.0000  0.0000  0.2483 [3 per cell]
Cd  0.0000  0.0000  0.7460 [3 per cell]
Cd  0.0000  0.0000  0.8724 [3 per cell]
Ag  0.0000  0.0000  0.1241 [3 per cell]
Ag  0.0000  0.0000  0.3706 [3 per cell]
Ag  0.0000  0.0000  0.6216 [3 per cell]

Most intense lines, 2θ = 10–90°, most intense first:
d_spacing  two_theta  I/Imax  hkl
2.478  36.25  100  1 1 0
2.469  36.39  98  0 1 8
1.430  65.26  51  3 0 0
1.749  52.30  34  2 0 8
1.424  65.57  16  1 0 16
1.108  88.23  15  3 1 8
1.105  88.47  15  2 1 16
____________

If only Fred Gray could be like his son. Paul’s son was taken to the hospital before his most recent booking, while Mr. Gray’s cries of pain were ignored and medical attention delayed because he was being arrested.

It really is a no win situation, isn’t it? You peaceful discuss the issue, nobody listens, and nothing changes. . . you violently and loudly discuss the issue and everyone tells you that you have to calm down before they’ll listen.

-- begin --
No. 1
K4Hg16Pd3: simulated powder diffractogram (λ = 1.5418 Å (Cu Kα)), based on DFT lattice parameters and positions (PBE).
No peak broadening, texture or thermal motion is included.

Most intense lines, 2θ = 15–90°, by intensity:
2θ (°)	d (Å)	I_rel
32.9	2.723	100.0
36.2	2.482	86.4
28.9	3.086	49.7
51.0	1.792	40.0
37.8	2.379	35.5
34.7	2.589	31.8
52.1	1.755	28.9
63.0	1.475	27.5
22.6	3.939	20.8
64.1	1.453	19.5

Cell and atoms:
abc: 7.0204 7.0204 12.9432
angles: 90.00 90.00 90.00
Fractional positions:
K: 0.0000 0.5000 0.1931
K: 0.0000 0.5000 0.8069
K: 0.5000 0.0000 0.1931
K: 0.5000 0.0000 0.8069
Hg: 0.0000 0.0000 0.2174
Hg: 0.0000 0.0000 0.7826
Hg: 0.2486 0.2486 0.3829
Hg: 0.2486 0.2486 0.6171
Hg: 0.2486 0.7514 0.3829
Hg: 0.2486 0.7514 0.6171
Hg: 0.2793 0.2793 0.0000
Hg: 0.2793 0.7207 0.0000
Hg: 0.5000 0.5000 0.2186
Hg: 0.5000 0.5000 0.7814
Hg: 0.7207 0.2793 0.0000
Hg: 0.7207 0.7207 0.0000
Hg: 0.7514 0.2486 0.3829
Hg: 0.7514 0.2486 0.6171
Hg: 0.7514 0.7514 0.3829
Hg: 0.7514 0.7514 0.6171
Pd: 0.0000 0.0000 0.0000
Pd: 0.0000 0.5000 0.5000
Pd: 0.5000 0.0000 0.5000



No. 2
KHgPd: simulated powder diffractogram (λ = 1.5418 Å (Cu Kα)), based on DFT lattice parameters and positions (PBE).
No peak broadening, texture or thermal motion is included.

Most intense lines, 2θ = 15–90°, by intensity:
2θ (°)	d (Å)	I_rel
15.0	5.900	100.0
38.9	2.315	53.4
35.7	2.517	38.1
30.3	2.950	25.8
47.5	1.915	22.3
33.3	2.687	21.6
38.6	2.335	19.5
41.6	2.171	16.8
49.8	1.831	12.7
64.3	1.448	10.3

Cell and atoms:
abc: 4.6697 6.6134 6.6134
angles: 126.28 90.00 90.00
Fractional positions:
K: 0.0000 0.0000 0.0000
K: 0.5000 0.4932 0.4932
Hg: 0.0000 0.3417 0.7804
Hg: 0.0000 0.7804 0.3417
Pd: 0.5000 0.0540 0.5714
Pd: 0.5000 0.5714 0.0540



No. 3
KHg2Pd3: simulated powder diffractogram (λ = 1.5418 Å (Cu Kα)), based on DFT lattice parameters and positions (PBE).
No peak broadening, texture or thermal motion is included.

Most intense lines, 2θ = 15–90°, by intensity:
2θ (°)	d (Å)	I_rel
36.8	2.440	100.0
17.6	5.040	72.1
41.1	2.196	57.5
30.7	2.910	29.6
58.7	1.573	25.8
40.3	2.239	25.2
78.4	1.220	21.5
64.0	1.455	19.1
71.0	1.328	14.7
44.3	2.047	14.5

Cell and atoms:
abc: 5.8202 5.8202 4.4789
angles: 90.00 90.00 120.00
Fractional positions:
K: 0.0000 0.0000 0.0000
Hg: 0.3333 0.6667 0.0000
Hg: 0.6667 0.3333 0.0000
Pd: 0.0000 0.5000 0.5000
Pd: 0.5000 0.0000 0.5000
Pd: 0.5000 0.5000 0.5000



No. 4
KTl2HgPd2: simulated powder diffractogram (λ = 1.5418 Å (Cu Kα)), based on DFT lattice parameters and positions (PBE).
No peak broadening, texture or thermal motion is included.

Most intense lines, 2θ = 15–90°, by intensity:
2θ (°)	d (Å)	I_rel
33.0	2.712	100.0
34.4	2.610	81.5
48.4	1.881	69.3
24.1	3.692	48.0
49.4	1.846	29.3
37.2	2.414	28.6
37.4	2.407	24.4
71.6	1.317	21.8
69.3	1.356	20.8
60.7	1.526	17.7

Cell and atoms:
abc: 5.2207 5.2207 6.3480
angles: 90.00 90.00 90.00
Fractional positions:
K: 0.0000 0.0000 0.0000
Tl: 0.5000 0.5000 0.2591
Tl: 0.5000 0.5000 0.7409
Hg: 0.0000 0.0000 0.5000
-- stop --

I think a hundred years from now the period starting with Dr. King will be known as the beginning of the Civil Rights Movement. That they’ll remember the early twenty-first century as the period when the internet allowed people to finally start to see what’s been going on all along, and that enabled the next steps.

“There’s a time and a a place for talking about root causes,” Paul said. (You can listen the audio here; we saw it via Talking Points Memo.) “But in the middle of a riot, you’ve got to have safety and security.... Root causes can be discussed.

I thought it was because police are murdering unarmed citizens with relative impunity.

All has to do with the “right” kind of people. White people= revelers, black people = thugs.

How passive aggressive can this asshole get? “There’s a time and a place for talking about root causes”, then blames single mothers for the state of Baltimore and closes with “But in the middle of a riot, you’ve got to have safety and security”. Did he end this radio appearance by sipping Lipton tea?

I love how when people destroy property because their sports team won, sports team lost, or because of a pumpkin festival, they’re just “rowdy fans” or “revelers”.

And let’s not forget, Rand, that Trayvon, Mike, etc. (and it fucking kills me to write “etc”) had ACTIVE mother and fathers, you ramen-headed dumb motherfucker.

Everybody get fathers RIGHT NOW so we can get safety and security. No time to talk about root causes. Chop chop, people!

I seriously wonder how kids a hundred years from now will look at this whole situation. Maybe i’m just naive or overly optimistic, but I wonder how people like Rand Paul or the people decrying destruction of property are not able to see they are are the segregationists of this era.

Are you fucking kidding me? And where were those cops’ fathers while they were growing up and were supposed to learn important lessons like, oh, I don’t know, “thou shalt not kill” and “racism is bad”?